Ghost Adventures: Nevada State Prison
Ghost Adventures heads to Carson City to investigate the Nevada State Prison. Once a nightmare for inmates and guards alike, the now-closed prison raises the bar to new, frightening levels for Zak Bagans and his crew.

Nevada State Prison
The "Ghost Adventures" crew at the Nevada State Prison, which closed its doors in 2012. Since 1862, the prison was home to countless inmates who committed treacherous crimes. The crew has arrived to further investigate if their darkened spirits still remain.
Zak Bagans at the Nevada State Prison
Zak Bagans on the Nevada State Prison grounds.
• Data records, as found in the file:
/*
# 1
36
Properties=species:S:1:pos:R:3 method="wB97M-V/def2-TZVPD" homo_ev=-12.888 total_charge=+1 molar_mass_da=259.35
C -1.599 -0.460 4.271
C -1.840 0.499 3.143
O -1.553 1.662 3.168
O -2.437 -0.073 2.055
C -2.054 0.430 0.778
C -1.597 -0.727 -0.093
C -0.282 -1.386 0.328
S 0.827 -0.363 1.416
C 2.109 -1.394 1.007
N 1.912 -2.125 -0.044
C 0.664 -1.850 -0.780
C 0.921 -1.026 -2.053
C 1.606 0.323 -1.825
O 2.663 0.308 -1.210
N 1.119 1.469 -2.395
C -0.332 1.662 -2.467
C 1.797 2.671 -1.877
H -0.727 -0.110 4.820
H -1.400 -1.465 3.893
H -2.473 -0.512 4.921
H -2.920 0.909 0.313
H -1.289 1.207 0.882
H -2.376 -1.493 -0.033
H -1.555 -0.415 -1.138
H -0.501 -2.258 0.948
H 3.021 -1.456 1.591
H 2.578 -2.805 -0.387
H 0.294 -2.813 -1.149
H 1.646 -1.598 -2.640
H 0.009 -0.971 -2.642
H -0.534 2.478 -3.164
H -0.847 0.791 -2.864
H -0.754 1.962 -1.501
H 1.289 3.547 -2.275
H 2.832 2.682 -2.212
H 1.784 2.699 -0.785

***

# 2
10
Properties=species:S:1:pos:R:3 method="wB97M-V/def2-TZVPD" homo_ev="-1.479 / -2.564" total_charge=-1 molar_mass_da=89.14 de_lowest_ev=2.8146
C -1.853 0.456 0.065
C 1.175 -0.620 -0.125
C 0.817 0.734 0.125
O -2.393 1.521 -0.055
S -2.099 -1.158 -0.031
H 0.256 -1.264 -0.071
H 1.515 -0.862 -1.204
H 1.712 -1.012 0.642
H 0.404 1.397 -0.502
H 0.465 0.808 1.158

***

# 3
15
Properties=species:S:1:pos:R:3 method="wB97M-V/def2-TZVPD" homo_ev=-8.072 smiles=CCc1c[nH]cn1 total_charge=0 molar_mass_da=96.13 de_lowest_ev=0.9631
C -0.618 -0.646 2.137
C 0.311 -0.939 0.966
C 0.167 -0.022 -0.178
C 0.033 -0.390 -1.611
N 0.103 0.793 -2.240
C 0.352 1.812 -1.306
N 0.470 1.294 -0.076
H -0.495 0.351 2.512
H -0.412 -1.432 2.843
H -1.671 -0.706 1.736
H 1.342 -0.689 1.356
H 0.490 -1.921 0.716
H -0.155 -1.408 -2.182
H -0.215 1.045 -3.162
H 0.297 2.857 -1.512

----------
*/
Nevada State Prison
The Nevada State Prison yard where many riots occurred while the prison was operating.
Dennis Williams at the Nevada State Prison
Dennis Williams is interviewed by the crew outside of the Nevada State Prison. Williams worked at the prison for 28 years and endured being shot, stabbed and a shattered kneecap during his time as an employee.
Nevada State Prison
A Nevada State Prison guard tower and license plate factory where inmates worked during their sentence.
Former Nevada State Prison Director Glen Whorton
Former Nevada State Prison Director, Glen Whorton, is interviewed by the "Ghost Adventures" crew. While working for the prison Whorton was witness to eight lethal injections.
"The Hole" at the Nevada State Prison
This area was where prisoners were sent to for solitary confinement. People affiliated with the prison referred to it as "The Hole."
Inside "The Hole" at the Nevada State Prison
The interior of "The Hole."
Solitary Confinement at the Nevada State Prison
A mechanism to bring down food to prisoners who were in solitary confinement during their sentence at the Nevada State Prison.
Curt Thomas at the Nevada State Prison
Curt Thomas recounts the 15 years he spent working at the Nevada State Prison in an interview with the crew. He has written a book about the history of the prison titled the "History of the Nevada State Prison."
Ex-inmate Randy Howard at the Nevada State Prison
Randy Howard, an ex-inmate at the Nevada State Prison, tells Zak about the shower room that remains haunted. A prisoner was allegedly murdered in this room by another prisoner.
Shower Room in the Nevada State Prison
A shower room in the Nevada State Prison that remains haunted by a prisoner who was allegedly murdered in this room.
Nevada State Prison
A prison hallway in the Nevada State Prison. The prison was active up until 2012 and still is used sometimes for capital executions.
Nevada State Prison Cafeteria Rules
A list of rules and regulations for the Nevada State Prison cafeteria. These became necessary as this area became a frequent place for prison riots.
Prison Cell at the Nevada State Prison
One of the many prison cells at the Nevada State Prison.
Nevada State Prison's Execution Room
Stairs leading up to Nevada State Prison's execution room. The cast and crew were not allowed through the door as the room is still used for executions today.